Friday, March 21, 2008

No Trident! No nuclear holocaust!

by Ann Rogers

IN MARCH 2007 the Government put a resolution before the House of Commons calling for “the necessary steps to maintain the United Kingdom’s strategic nuclear deterrent beyond the life of the existing system”. In short the Government was calling for a new generation of Trident nuclear weapons.
The resolution was passes after pressure on both Tory and Labour MPs. But it was still opposed by 161 MPs – including 89 Labour MPs – the biggest revolt by Labour backbenchers on a domestic issue since Tony Blair came to office.
The rebel MPs were in step with the public as a whole. A majority (59 per cent), polled by ICM in July 2006, opposed replacing Trident.
In January 2008, as reported in the New Worker, armed forces chiefs from the United States, Britain, Germany, France and the Netherlands gave a statement insisting that a “first strike” nuclear option remains an “indispensable option” since there is “simply no realistic prospect of a nuclear-free world”. It is thought this manifesto will be discussed at the Nato summit in April.
Of course armed forces chiefs are not necessarily speaking for their respective governments. But since governments have not spoken against these views we must conclude that this does reflect the thinking of the imperialist leaders.
It means that objecting to these policies needs to happen now – ahead of the Nato summit.
The armed forces chiefs’ statement also needs to be seen alongside arguments put by Tony Blair when he was striving to get the new Trident resolution through the Commons. According to Blair it would be “unwise and dangerous” for Britain to give up its nuclear weapons. He alleged that the consequences of misjudgement about the country’s security would be “potentially catastrophic”.
He alleged that new threats were posed by states like the Democratic Peoples Republic of Korea. This outrageous slur against the DPRK, a country that has issued no threats to anyone at all and which vigorously supports peace and working class solidarity internationally, shows the utter emptiness and weakness of the Government’s case. It also shows that the Cold War is not ended outside Europe – at least in the minds of the imperialist powers.
But Blair’s words will come as no surprise after backing Bush’s war on Iraq on the basis of a lie about weapons of mass destruction, which Iraq did not have.
The whole issue of Trident is presented by the biggest lie of all – that these weapons protect our country and that they are a means of “defence”.
== Attached: quantum chemistry results ==
........
{"formula": "C20H20F2N2O2", "method": "wB97M-V/def2-TZVPD", "smiles": "O=C(CCC(=O)N1CCN(c2ccc(F)cc2)CC1)c1ccc(F)cc1", "energy_ha": -1233.86653, "lumo_energy_ev": -0.01, "e_homo_ev": -7.9, "charge": 0, "symbols": ["C", "C", "H", "C", "H", "H", "H", "H", "N", "H", "F", "H", "C", "C", "H", "C", "H", "C", "C", "H", "H", "C", "C", "C", "H", "N", "C", "C", "H", "H", "H", "F", "H", "H", "H", "C", "C", "O", "H", "C", "C", "O", "C", "H", "C", "C"], "coordinates": [[-3.1162, 3.2607, 3.7397], [0.4198, -1.2233, -6.8624], [0.7871, -2.0199, -1.6509], [-2.1171, 2.2925, 5.7049], [2.3470, -2.2822, -2.4224], [0.9191, 1.3636, 1.7668], [1.3578, 1.2891, -4.8337], [0.4158, 0.3787, -0.4508], [0.5722, -1.1698, 0.9705], [-0.7116, -0.9423, 4.0853], [-3.7044, 4.0308, 5.8941], [-3.8018, 3.9690, 3.3020], [2.4493, -1.0901, -0.6089], [-0.1405, -0.5627, 3.2381], [-1.1037, -1.9619, 1.9077], [-0.0849, 0.0001, 0.4362], [0.7843, 0.8520, -7.2225], [-2.9789, 3.1951, 5.1143], [1.7425, -1.5450, -1.8952], [-1.1138, -0.2730, 0.1724], [3.4793, -1.4469, -0.6054], [-0.0841, -1.6560, 2.1660], [1.0693, -0.7345, -4.2260], [0.7683, 0.0632, -6.4875], [-0.6175, 1.9764, 1.1241], [-0.8064, 0.5969, 2.6867], [-1.4887, 1.4805, 3.5122], [0.3808, -2.2668, -5.9523], [0.6689, -2.8318, -3.9261], [2.4707, 0.0004, -0.5684], [0.0955, -3.2527, -6.2836], [0.1052, -1.4685, -8.1457], [-2.0228, 2.2638, 6.7790], [-2.5120, 2.4403, 1.8798], [0.4773, -2.5170, 2.5314], [0.7105, -2.0194, -4.6340], [-1.3737, 1.4451, 4.9052], [1.4517, 0.7608, -2.4511], [-0.6865, 0.7636, 5.3799], [-0.1189, 1.0907, 1.5120], [1.4277, -0.3916, -2.8279], [2.3052, -2.5682, 1.2623], [-2.3789, 2.4040, 2.9498], [0.8842, -0.3282, 3.5676], [1.7875, -1.6644, 0.6325], [1.0855, 0.2987, -5.1658]]}
........
== The entry goes on ==
We do not need to second guess the thinking of the ruling class here and in the United States – we only need to see the specification for Trident to know that it is, and always was, an offensive weapon of mass destruction. Much more exposure needs to be given to this since there is now a generation of young adults who were born after the Cold War in Europe and after the intense campaigning against Trident in the 1980s.
Briefly: The current trident fleet consists of four Ballistic submarines – HMS Vengeance, HMS Victorious, HMS Vigilant and HMS Vanguard. At any time three of these can be at sea. Each 150-metre submarine has 16 missile tubes capable of firing Trident D5 missiles and four tubes for Spearfish torpedoes. D5 is a MERV-type missile, which can fire 12 nuclear-armed warheads.
Each submarine’s range is over 4,000 nautical miles and, according to Royal navy information, claims an accuracy of a few metres. This is laughable, since a single warhead would totally devastate an area of many square miles – being accurate to a few yards is utterly irrelevant.
Just one trident warhead has eight times the explosive power of the atomic bomb dropped on Hiroshima in 1945. A warhead aimed at a city would kill, sooner or later, over a million people, destroy the entire infrastructure and contaminate the whole area for decades to come.
The range of Trident means it could do this to any country in the world.
This is military nonsense – a fact acknowledged by many military pundits. If Trident were ever used it would amount to a crime of genocidal proportions – and it is obviously not inconceivable that it could be used, given the first-strike talk of the Nato war chiefs.
Does Trident defend our country? Of course not. It only increases the danger of nuclear catastrophe.
Only the US has a comparable system to Trident. Britain does not face a threat from others – we are the threat. In fact in July 1998 a Ministry of Defence review stated: “There is today no military threat to the United Kingdom or Western Europe. Nor do we foresee the re-emergence of such a threat.”
That statement did not deter former Defence Secretary Geoff Hoon from indicating in 2002 that Trident might be used in a first strike capacity as a pre-emptive attack against a proportionate threat and that this could be against a non-nuclear weapon state.
A CND briefing of May 2007 said: “The UK is enhancing the Trident system and making it more flexible and therefore more usable. For example in 2003 new computers were installed on Trident submarines so that the missiles can now be rapidly retargeted and £28.4 million has been spent on acquiring a new fire-control system (to be deployed in 2010) which will improve their targeting. An upgrade to the nuclear warheads has also been scheduled. The Government describe this as a “relatively minor upgrading and refurbishment during the first half of the next decade. This will enable Trident warheads to remain in service until at least the 2020s.”
The Ministry of Defence and Foreign Office have produced a fact sheet giving a potted history of Britain’s nuclear weapons programme (incidentally, though this goes back to 1941 and the 1943 Manhattan Project, agreed between Churchill and Roosevelt, it never bothers to mention the US bombings of Hiroshima and Nagasaki in 1945).
However it does mention the signing in 1958 of the Mutual Defence Agreement (MDA) as the basis for Agreement and Co-operation on Uses of Atomic Energy for Mutual Defence Purposes. This, it says, “became, and remains, the cornerstone of UK-US co-operation on nuclear defence issues. It was renewed in 2004 for a further period of 10 years.”
It underlines the fact that the US Trident missile system that Britain deploys always has to be seen as a component of the wider US war strategy.
In the 1980s Trident was to have been an integrated part of the US Star Wars programme and today it remains an arm of US strategy. Trident is not an independent UK weapons system and it is inconceivable that Britain would ever use its Trident weapons if the US did not sanction it.
While British ministers always speak of trident as “our nuclear deterrent” – it is actually more closely tied to Washington than other weapons systems that Britain has. This is because the US will not let Trident be subjected to any collective decision-making by its allies.
It is not just the constraints of the MDA that make Trident not an independent weapons system. A report prepared for Scottish CND revealed that Trident is technically dependent on the US in many important ways. It says: “The [Trident] warhead is a Dutch copy of the US W76…. Several key components are produced in America…. The MC2989 Neutron Generators, initially deployed on British warheads were overhauled in the US in 1999. This implies that they were built there. A replacement Neutron Generator, the MC4380, was manufactured in America and supplied to Britain in 2002 …. The gas reservoirs on British warheads are filled with tritium in the US. These are difficult components to build. This suggests that the reservoirs are manufactured in America.
“The arming, fusing and firing system triggers the warhead. The model used on British warheads was designed by Sandia Laboratory and almost certainly procured off-the-shelf from America…. And there is a substantial American presence at the Northwood headquarters from where British submarine operations are controlled.
“Successive governments have withheld information to conceal dependence …. This is consistent with the policy of uncertainty that lies at the heart of British nuclear policy.”
Blair’s statement to the House of Commons that “it would be unwise and dangerous for Britain to give up its nuclear weapons” is utterly bogus. The vast majority of countries in the world do not have nuclear weapons at all. And since the end of the Cold war in Europe Ukraine, Kazakhstan and Belarus have got rid of their nuclear weapons.
For Britain to opt for Trident replacement is not going to deter countries from trying to acquire nuclear weapons – it will have the opposite effect of making non-nuclear states feel threatened and therefore in need of seeking a nuclear option.Furthermore it is contrary to the Nuclear Non-Proliferation Treaty (NPT) that Britain has signed.
The NPT was signed by the US, Britain, the Soviet Union and 59 other countries on 1st July 1968. Since then China and France have also signed. By 2000, 187 states were party to the NPT.
Though Blair denied that Trident replacement is in breach of the NPT, the words of Article VI of the treaty show that he is wrong. It says: “Each of the parties to the treaty undertakes to pursue negotiations in good faith on effective measures relating to cessation of the nuclear arms race at an early date and to pursue nuclear disarmament, and on a treaty on general and complete disarmament under strict and effective international control.”
Britain and the US have never paid more than lip service to this and by upgrading their nuclear weapons they are clearly in breach. But that sort of thing has never worried either state. The imperialist powers never thought of the NPT as a call for nuclear weapons’ reduction by themselves – but only as a means of constraining all other states to create as near to a nuclear weapons monopoly as possible.
Since the counter-revolution in the Soviet Union this pressure has built up so that now states the US regards as unfriendly are bullied to abandon nuclear power generation altogether.
If the Government’s stated reasons for wanting to keep Trident are spurious, what are the true reasons?
One of these can be summed up by the words of Aneurin Bevan when he addressed the Labour Party Conference in 1957 and insisted that Britain retain nuclear weapons “lest she go naked into the conference chamber”.
Maintaining nuclear status has and is a ruling class objective for British capitalism’s international prestige and to keep its permanent seat on the Security Council of the United Nations.
It is also part of the wider strategy of Anglo-US relations. Britain is no longer a big colonial power but a section of the British ruling class hopes to bask in the reflection of the new sun in the sky –the US.
It is timely that this Easter CND plans to mark its 50th anniversary with a demonstration at the Atomic weapons Establishment (AWE) at Aldermaston. This is where a new laser facility is being built to test and develop a new generation of nuclear weapons.
This site produced and maintains nuclear warheads and has always been the business end of Trident in Britain.
The decision to replace Trident has led to an increase in the workforce at Aldermaston and capital costs have risen by £278 million in the last five years. According to a House of Commons written statement £1 billion extra funding has been earmarked for Aldermaston from 2005 to 2008.
This brings us to the cost of Trident. According to CND replacement for Trident could cost at least £25 billion. Running costs will be £1.5 billion-a-year and over a 30-year lifespan this would bring the cost to £76 billion. The Stop the War Coalition believes the cost will be £50 billion and a Defence white paper says the running costs of Trident are five to six per cent of the annual defence budget.
Of course the figures all depend on what is counted in. for example there would be extra costs for decommissioning the old system and the huge costs of running AWE Aldermaston.
Whatever measure we use it is colossally expensive and represents money that could be better spent on health, education, housing, pensions, public transport, local authorities and so on.
Clearly British taxpayers – the majority of whom are working class people on pay-as-you-earn tax (PAYE) – are helping to pay for US nuclear war plans and “defence” strategy. None of this is in the interests of the working class.
Quote: “Trident is unacceptably expensive, economically wasteful and militarily unsound.” – Gordon Brown (1984).